She has been on the right side of a lot of shit and no one EVER gives her credit. She is not a terrible person.
She has been on the right side of a lot of shit and no one EVER gives her credit. She is not a terrible person.
I take Adderall as an adult, it’s in the same ballpark of Ritalin.
Anyone been prescribed Ritalin as an adult? I say this because I’m out of the age range that had it as an option as a kid, my parents just signed me up for every energy depleting sport (which I loved). Recently has been brought to my attention that I might benefit from ADHD drugs.
Is that before she “grew into her nose”, as we used to say about all the rich girls who needed “corrective surgery” for their “deviated septums”?
Ok I have sort of a generalized question: I know everyone thinks billy crudup is a dick for leaving Mary Louise Parker when she was pregnant....would it have been the same if he didn’t leave her specifically for someone else? I have acquaintances where there were clearly issues before they got pregnant, and then they…
She’s always been tacky but this is next level Glamour shots for rich people tacky.
These photos are embarrassing, get over yourself.
Yup, how about she stops with the cultural appropriation?
I am having embarrassment on her behalf not that she cares or needs it
That’s the hot take needed in this comment section.
We can duck and cover in the corner together. I thought the pregnancy pics were a bit over the top but this is beyond.
These photos are embarrassing, get over yourself.
I end up doing this (or taking a brown lipliner to an orange lipstick and then covering it all with a gold shimmer). Melt looks really, really good, though. Thank you for the recommendation.
Also, has there ever been a prize for best individual episode? Because Girls’ American Bitch episode was fucking beautiful. I know everyone here hates Lena Dunham and thinks Girls = Lena, but that episode was a work of art.
People say the most awful things to people with cancer. Well, they say the most awful things all the time to everyone, but you really notice it when you’re covered in scabs from chemo injections. A friend of mine looked me deeply in the eyes and asked, “What have you done to bring this into your life?” I told her I…
I have had a foster dog for 3 years. He can’t leave, and I can’t formally adopt him yet because of his behavioral issues. He was gentle and friendly in the shelter— because he’s an extremely sensitive dog, and when you separate him from me, he shuts right down. The rescue and I have worked with 3 dog trainers, and…
There were times where he was the only likable character on that show. How sad, he was so young.
The fact that no one booked hotel rooms is AMAZING to me. Like what a perfect representation of how awful this government is.
Data records that have nothing to do with the piece
1.
The following is a DFT calculation (GGA-PBE) of an optimized crystal structure of CoPtC2N.

## Properties
- ΔE_f (raw): 2.02 eV/atom
- Symmetry: No. 123

Lattice parameters (Å, degrees): 3.408 3.408 5.238 90.00 90.00 90.00
Fractional coordinates of all 5 atoms:
Co1 0.000 0.000 0.000
Pt1 0.000 0.000 0.500
C1 0.000 0.500 0.000
C2 0.500 0.000 0.000
N1 0.500 0.500 0.500

=====

2.
The following is a DFT calculation (GGA-PBE) of an optimized crystal structure of LaFeAs2.

## Properties
- Symmetry: No. 122
- Distance to the lowest polymorph of the same formula: 0.237 eV/atom

Lattice parameters (Å, degrees): 4.972 4.972 15.311 90.00 90.00 90.00
Fractional coordinates of all 16 atoms:
La1 0.000 0.000 0.000
La2 0.000 0.500 0.250
La3 0.500 0.000 0.750
La4 0.500 0.500 0.500
Fe1 0.000 0.000 0.500
Fe2 0.000 0.500 0.750
Fe3 0.500 0.000 0.250
Fe4 0.500 0.500 0.000
As1 0.084 0.250 0.625
As2 0.250 0.584 0.875
As3 0.250 0.916 0.375
As4 0.416 0.250 0.125
As5 0.584 0.750 0.125
As6 0.750 0.084 0.375
As7 0.750 0.416 0.875
As8 0.916 0.750 0.625

=====

3.
The following is a DFT calculation (GGA-PBE) of an optimized crystal structure of LaOsNF2.

## Properties
- ΔE_f (raw): -0.32 eV/atom
- Symmetry: No. 123
- Distance to the lowest polymorph of the same formula: 0.709 eV/atom

Lattice parameters (Å, degrees): 4.498 4.498 5.080 90.00 90.00 90.00
Fractional coordinates of all 5 atoms:
La1 0.000 0.000 0.000
Os1 0.500 0.500 0.500
N1 0.000 0.000 0.500
F1 0.000 0.500 0.000
F2 0.500 0.000 0.000

=====

4.
The following is a DFT calculation (GGA-PBE) of an optimized crystal structure of Cs4Hg3Pt.

## Properties
- DFT total energy: -1.48 eV/atom
- Symmetry: No. 25

Lattice parameters (Å, degrees): 5.155 5.450 13.288 90.00 90.00 90.00
Fractional coordinates of all 8 atoms:
Cs1 0.000 0.000 0.000
Cs2 0.000 0.500 0.438
Cs3 0.500 0.000 0.667
Cs4 0.500 0.500 0.180
Hg1 0.000 0.500 0.764
Hg2 0.500 0.000 0.361
Hg3 0.500 0.500 0.884
Pt1 0.000 0.000 0.271

=====

5.
The following is a DFT calculation (GGA-PBE) of an optimized crystal structure of NaPd2Pt2.

## Properties
- Symmetry: No. 139
- Distance to the lowest polymorph of the same formula: 0.259 eV/atom

Lattice parameters (Å, degrees): 3.852 3.852 12.667 90.00 90.00 90.00
Fractional coordinates of all 10 atoms:
Na1 0.000 0.000 0.000
Na2 0.500 0.500 0.500
Pd1 0.000 0.000 0.398
Pd2 0.000 0.000 0.602
Pd3 0.500 0.500 0.102
Pd4 0.500 0.500 0.898
Pt1 0.000 0.500 0.250
Pt2 0.000 0.500 0.750
Pt3 0.500 0.000 0.250
Pt4 0.500 0.000 0.750

=====

6.
The following is a DFT calculation (GGA-PBE) of an optimized crystal structure of AcHoSi2Pd2.

## Properties
- ΔE_f (raw): -0.90 eV/atom
- Symmetry: No. 164

Lattice parameters (Å, degrees): 4.277 4.277 8.275 90.00 90.00 120.00
Fractional coordinates of all 6 atoms:
Ac1 0.000 0.000 0.000
Ho1 0.000 0.000 0.500
Si1 0.333 0.667 0.270
Si2 0.667 0.333 0.730
Pd1 0.333 0.667 0.716
Pd2 0.667 0.333 0.284

=====

7.
So, I can’t hear the new Jay Z album? :(